Brief:
Your job: set down the whole of the material below exactly.

Entries:
~~~
1.
TeIrPtPb: relaxed, PBE.

For the energy above the most stable polymorph in this dataset, the calculation gives 0.53 eV/f.u. The formation energy without anion corrections comes out at 79 meV/atom.

a b c (Å): 3.9618 3.9003 5.7483
angles (deg): 90.00 110.21 90.00
Space group Pm (No. 6)
Inequivalent atoms, fractional coordinates:
Te (0.0000, 0.0000, 0.0000)
Ir (0.7512, 0.0000, 0.5030)
Pt (0.5655, 0.5000, 0.1247)
Pb (0.2931, 0.5000, 0.5848)



2.
YIrPtPb2: relaxed, PBE.

The calculation puts the formation energy at 0.15 eV per atom.

a b c (Å): 5.1360 5.1360 5.3394
angles (deg): 90.00 90.00 90.00
Space group P4/mmm (No. 123)
Inequivalent atoms, fractional coordinates:
Y (0.0000, 0.0000, 0.0000)
Ir (0.0000, 0.0000, 0.5000)
Pt (0.5000, 0.5000, 0.0000)
Pb (0.0000, 0.5000, 0.5000)



3.
Pu3IrPb: relaxed, PBE.

For the energy above the most stable polymorph in this dataset, the calculation gives 0.35 eV/f.u. The calculation puts the formation energy at -0.06 eV per atom.

a b c (Å): 5.3610 5.3610 5.3610
angles (deg): 90.00 90.00 90.00
Space group Pm-3m (No. 221)
Inequivalent atoms, fractional coordinates:
Pu (0.0000, 0.0000, 0.5000)
Ir (0.0000, 0.0000, 0.0000)
Pb (0.5000, 0.5000, 0.5000)

~~~~~

Entry from Alexandria: an optimized crystal structure of AcNdGdY (PBE).

final energy	-0.5331	Ry per atom

Lattice parameters (Å, degrees): 5.895 5.895 5.895 60.00 60.00 60.00
Fractional coordinates of all 4 atoms:
Ac 0.000 0.000 0.000
Nd 0.500 0.500 0.500
Gd 0.750 0.750 0.750
Y 0.250 0.250 0.250

***

Entry from Alexandria: an optimized crystal structure of AcNdGdZn (PBE).

final energy	-0.4348	Ry per atom

Lattice parameters (Å, degrees): 5.614 5.614 5.614 60.00 60.00 60.00
Fractional coordinates of all 4 atoms:
Ac 0.000 0.000 0.000
Nd 0.250 0.250 0.250
Gd 0.750 0.750 0.750
Zn 0.500 0.500 0.500

***

Question: Which formula does entry 1 have?
Answer: AcNdGdY

~~~~~

1.
First-principles (PBE) data for a relaxed Hg5Te3 crystal, as listed in the Alexandria database.

Cell lengths 10.053, 10.053, 8.202 Å; angles 101.64, 101.64, 132.12 degrees
Positions (direct):
Hg1 0.701 0.603 0.304
Hg2 0.187 0.904 0.092
Hg3 0.103 0.201 0.304
Hg4 0.896 0.799 0.696
Hg5 0.258 0.759 0.500
Hg6 0.741 0.241 0.500
Hg7 0.404 0.687 0.091
Hg8 0.595 0.313 0.908
Hg9 0.298 0.397 0.696
Hg10 0.813 0.095 0.909
Te1 0.858 0.359 0.217
Te2 0.141 0.641 0.783
Te3 0.384 0.116 0.500
Te4 0.750 0.750 0.000
Te5 0.615 0.884 0.500
Te6 0.250 0.250 0.000

As for the density of states at the Fermi level: 1.7 states/eV/f.u. Its symmetry is Fmmm. The energy above the most stable polymorph in this dataset comes out at 4 meV/atom. The total energy comes out at -1.358 eV/atom.


2.
First-principles (PBE) data for a relaxed Ac8In2Pb crystal, as listed in the Alexandria database.

Cell lengths 5.669, 7.716, 10.863 Å; angles 102.67, 105.13, 90.00 degrees
Positions (direct):
Pb1 0.500 0.000 0.000
Ac1 0.023 0.765 0.045
Ac2 0.208 0.315 0.416
Ac3 0.593 0.463 0.187
Ac4 0.407 0.537 0.813
Ac5 0.977 0.235 0.955
Ac6 0.792 0.685 0.584
Ac7 0.661 0.975 0.322
Ac8 0.339 0.025 0.678
In1 0.815 0.258 0.629
In2 0.185 0.742 0.371

As for the density of states at the Fermi level: 11.8 states/eV/f.u. Its symmetry is C2/m. The calculation puts the energy of formation at -0.21 eV/atom. The total energy comes out at -4.034 eV/atom.


3.
First-principles (PBE) data for a relaxed U3Sn5S12 crystal, as listed in the Alexandria database.

Cell lengths 13.884, 13.884, 13.884 Å; angles 109.47, 109.47, 109.47 degrees
Positions (direct):
S1 0.329 0.554 0.413
S2 0.087 0.916 0.141
S3 0.554 0.225 0.141
S4 0.775 0.446 0.359
S5 0.641 0.587 0.916
S6 0.359 0.946 0.775
S7 0.329 0.775 0.416
S8 0.413 0.359 0.584
S9 0.359 0.413 0.084
S10 0.859 0.275 0.446
S11 0.829 0.916 0.275
S12 0.946 0.359 0.275
S13 0.587 0.946 0.671
S14 0.084 0.913 0.359
S15 0.171 0.084 0.725
S16 0.671 0.446 0.587
S17 0.775 0.329 0.916
S18 0.641 0.054 0.225
S19 0.554 0.329 0.913
S20 0.859 0.584 0.913
S21 0.916 0.829 0.775
S22 0.225 0.554 0.641
S23 0.141 0.416 0.087
~~~

Completed:
1.
TeIrPtPb: relaxed, PBE.

For the energy above the most stable polymorph in this dataset, the calculation gives 0.53 eV/f.u. The formation energy without anion corrections comes out at 79 meV/atom.

a b c (Å): 3.9618 3.9003 5.7483
angles (deg): 90.00 110.21 90.00
Space group Pm (No. 6)
Inequivalent atoms, fractional coordinates:
Te (0.0000, 0.0000, 0.0000)
Ir (0.7512, 0.0000, 0.5030)
Pt (0.5655, 0.5000, 0.1247)
Pb (0.2931, 0.5000, 0.5848)



2.
YIrPtPb2: relaxed, PBE.

The calculation puts the formation energy at 0.15 eV per atom.

a b c (Å): 5.1360 5.1360 5.3394
angles (deg): 90.00 90.00 90.00
Space group P4/mmm (No. 123)
Inequivalent atoms, fractional coordinates:
Y (0.0000, 0.0000, 0.0000)
Ir (0.0000, 0.0000, 0.5000)
Pt (0.5000, 0.5000, 0.0000)
Pb (0.0000, 0.5000, 0.5000)



3.
Pu3IrPb: relaxed, PBE.

For the energy above the most stable polymorph in this dataset, the calculation gives 0.35 eV/f.u. The calculation puts the formation energy at -0.06 eV per atom.

a b c (Å): 5.3610 5.3610 5.3610
angles (deg): 90.00 90.00 90.00
Space group Pm-3m (No. 221)
Inequivalent atoms, fractional coordinates:
Pu (0.0000, 0.0000, 0.5000)
Ir (0.0000, 0.0000, 0.0000)
Pb (0.5000, 0.5000, 0.5000)

~~~~~

Entry from Alexandria: an optimized crystal structure of AcNdGdY (PBE).

final energy	-0.5331	Ry per atom

Lattice parameters (Å, degrees): 5.895 5.895 5.895 60.00 60.00 60.00
Fractional coordinates of all 4 atoms:
Ac 0.000 0.000 0.000
Nd 0.500 0.500 0.500
Gd 0.750 0.750 0.750
Y 0.250 0.250 0.250

***

Entry from Alexandria: an optimized crystal structure of AcNdGdZn (PBE).

final energy	-0.4348	Ry per atom

Lattice parameters (Å, degrees): 5.614 5.614 5.614 60.00 60.00 60.00
Fractional coordinates of all 4 atoms:
Ac 0.000 0.000 0.000
Nd 0.250 0.250 0.250
Gd 0.750 0.750 0.750
Zn 0.500 0.500 0.500

***

Question: Which formula does entry 1 have?
Answer: AcNdGdY

~~~~~

1.
First-principles (PBE) data for a relaxed Hg5Te3 crystal, as listed in the Alexandria database.

Cell lengths 10.053, 10.053, 8.202 Å; angles 101.64, 101.64, 132.12 degrees
Positions (direct):
Hg1 0.701 0.603 0.304
Hg2 0.187 0.904 0.092
Hg3 0.103 0.201 0.304
Hg4 0.896 0.799 0.696
Hg5 0.258 0.759 0.500
Hg6 0.741 0.241 0.500
Hg7 0.404 0.687 0.091
Hg8 0.595 0.313 0.908
Hg9 0.298 0.397 0.696
Hg10 0.813 0.095 0.909
Te1 0.858 0.359 0.217
Te2 0.141 0.641 0.783
Te3 0.384 0.116 0.500
Te4 0.750 0.750 0.000
Te5 0.615 0.884 0.500
Te6 0.250 0.250 0.000

As for the density of states at the Fermi level: 1.7 states/eV/f.u. Its symmetry is Fmmm. The energy above the most stable polymorph in this dataset comes out at 4 meV/atom. The total energy comes out at -1.358 eV/atom.


2.
First-principles (PBE) data for a relaxed Ac8In2Pb crystal, as listed in the Alexandria database.

Cell lengths 5.669, 7.716, 10.863 Å; angles 102.67, 105.13, 90.00 degrees
Positions (direct):
Pb1 0.500 0.000 0.000
Ac1 0.023 0.765 0.045
Ac2 0.208 0.315 0.416
Ac3 0.593 0.463 0.187
Ac4 0.407 0.537 0.813
Ac5 0.977 0.235 0.955
Ac6 0.792 0.685 0.584
Ac7 0.661 0.975 0.322
Ac8 0.339 0.025 0.678
In1 0.815 0.258 0.629
In2 0.185 0.742 0.371

As for the density of states at the Fermi level: 11.8 states/eV/f.u. Its symmetry is C2/m. The calculation puts the energy of formation at -0.21 eV/atom. The total energy comes out at -4.034 eV/atom.


3.
First-principles (PBE) data for a relaxed U3Sn5S12 crystal, as listed in the Alexandria database.

Cell lengths 13.884, 13.884, 13.884 Å; angles 109.47, 109.47, 109.47 degrees
Positions (direct):
S1 0.329 0.554 0.413
S2 0.087 0.916 0.141
S3 0.554 0.225 0.141
S4 0.775 0.446 0.359
S5 0.641 0.587 0.916
S6 0.359 0.946 0.775
S7 0.329 0.775 0.416
S8 0.413 0.359 0.584
S9 0.359 0.413 0.084
S10 0.859 0.275 0.446
S11 0.829 0.916 0.275
S12 0.946 0.359 0.275
S13 0.587 0.946 0.671
S14 0.084 0.913 0.359
S15 0.171 0.084 0.725
S16 0.671 0.446 0.587
S17 0.775 0.329 0.916
S18 0.641 0.054 0.225
S19 0.554 0.329 0.913
S20 0.859 0.584 0.913
S21 0.916 0.829 0.775
S22 0.225 0.554 0.641
S23 0.141 0.416 0.087